Guest Post — Jon Sprunk

Years a ago there was a Saturday morning cartoon called Scooby-Do, Where Are You? You might have heard of it. I was a huge fan when it originally aired, I am guessing sometime in the late 60’s early seventies. It lasted longer than most of the new cartoons, but I could tell when the writers were running out of ideas when they started doing crossovers. The “jumping the shark” moment came when Sabrina the Teenage Witch—(a cartoon spin off of the Archies cartoon, an episode that included the famous song Sugar, Sugar)—who was getting her own show appeared on Scooby-do as a promotional gimmick. In the years that followed there were more crossovers, from less reputable cartoons as writers struggled and things spiraled downward.
I’m not sure what that says about my blog as today I am, for the first time ever, hosting a guest blogger. I would like to think it means my reputation, and fame has grown to the point where celebrities are interested in stopping by, rather than a cheap gimmick to keep viewers interested in a flagging series. I suppose that’s for you to decide.

Jon Sprunk is the author of Shadow’s Son  and the more recently released, Shadow’s Lure published through Pyr Books. His books are about an assassin with unusual mystical talents and sort of an imaginary friend whose latest job is a setup. There are some obvious similarities between his books and mine, which is no doubt why the universe contrived to bring us together at the recent Balticon convention.The two of us are visiting each other’s blogs and meeting for drinks at Dragoncon in Atlanta, at least I hope we are, I hate drinking alone.
So now, without further adieu, I give you Jon Sprunk…

Hello. I’m Jon Sprunk, author of the Shadow saga from Pyr Books, and I’d like to thank Michael for having me over to his place to chat about books and writing.

I get asked a lot why I write fantasy and I was never quite sure how to answer it. Then I heard famed author Robert Sawyer talk at Confluence this year. Robert has a ton of interesting things to say about writing and speculative fiction, but one statement really struck home with me. He said (and I’m paraphrasing, so any inaccuracy is my own fault) that science fiction is the fiction of ideas, of philosophy. In fact, he offered that the field should be renamed “Philosophy Fiction,” or Phi-Fi.

I thought about that a lot over the course of the day as I attended panel discussions and talked with other writers. If sci-fi is indeed the genre of ideas and philosophy, then perhaps fantasy is the genre of emotional states. I have always felt in my gut that there is a link between fantasy and heavy metal music, but thinking about them both in light of Robert Sawyer’s declaration, both fantasy lit and the harder rock subcategories work from a primal (and oftentimes violent) emotional core. Rage, love, passion. These are the driving forces of many fantasy stories.

For instance, the protagonist of my books (I hesitate to call him the ‘hero’), strives to attain the emotionless state required by a professional assassin, but at every turn he struggles against the wellspring of deep emotions bubbling under the surface of his hard exterior. Why did I create him like this? Because I wanted him to have realistic experiences and realistic reactions, and real people feel. We’re constantly ruled by our emotions, for better or worse. I think some genres of literature downplay emotion, or treat it as an afterthought, but my favorite stories have always been those that featured emotionally-charged characters.

But (he said with a portentous pause) it’s not enough to simply report a character’s emotions. “John was sad that his puppy died” or “Sally loved John precisely for that reason” are not significant until the characters actually act on their emotional state. John has to go after the evil neighbor who poisoned his pooch. Sally has to make a desperate attempt to keep John from harm because she can’t bear to see him go to prison for murder. Emotions drive action and reaction in our everyday lives, and the same should happen in our fiction.

Take George Martin’s epic A Game of Thrones as an example. It has battles and (some) magic and a feisty dwarf, but I would submit that its popularity comes from the fact that all the characters, great and small, are ruled by their emotional states. Just about every action taken in the book is predicated on emotional stimuli; some internal to the character, and others from outside pressures.

But we can go back to older fantasy and see the same elements (if presently a little differently). Robert E. Howard’s Conan, and Fritz Leiber’s Fafhrd and the Gray Mouser. were given to drink and battle excessively to combat their constant ennui. Elric was a passionate brooder; indeed, it was his possession of human emotions that set him apart from his race. Frodo and Sam – don’t me started.

Inserted here: records of crystals:
+++
# Ba2GeBi2
Computed PXRD pattern, copper Kα. Input: a DFT-relaxed cell (PBE, Alexandria).

Crystal structure
```
data_Ba2GeBi2
_space_group_name_H-M_alt 'P 1'
_space_group_IT_number 1
_cell_length_a 8.3535
_cell_length_b 8.3535
_cell_length_c 5.3013
_cell_angle_alpha 90.00
_cell_angle_beta 90.00
_cell_angle_gamma 90.00
loop_
_space_group_symop_operation_xyz
'x,y,z'
loop_
_atom_site_label
_atom_site_fract_x
_atom_site_fract_y
_atom_site_fract_z
_atom_site_occupancy
Ba1 0.1770 0.3230 0.0000 1
Ba2 0.3230 0.8230 0.0000 1
Ba3 0.6770 0.1770 0.0000 1
Ba4 0.8230 0.6770 0.0000 1
Ge1 0.0000 0.0000 0.5000 1
Ge2 0.5000 0.5000 0.5000 1
Bi1 0.1314 0.6314 0.5000 1
Bi2 0.3686 0.1314 0.5000 1
Bi3 0.6314 0.8686 0.5000 1
Bi4 0.8686 0.3686 0.5000 1
```

Principal peaks in the range 2θ from 15° to 90°, in order of rising 2θ:
2θ = 16.72°, intensity 9; 2θ = 27.18°, intensity 10; 2θ = 29.25°, intensity 100; 2θ = 33.82°, intensity 20; 2θ = 33.94°, intensity 24; 2θ = 48.67°, intensity 19; 2θ = 57.71°, intensity 15; 2θ = 62.37°, intensity 12

# CaLa6Ho5
Computed PXRD pattern, copper Kα. Input: a DFT-relaxed cell (PBE, Alexandria).

Crystal structure
```
data_CaLa6Ho5
_space_group_name_H-M_alt 'P 1'
_space_group_IT_number 1
_cell_length_a 8.1494
_cell_length_b 8.1494
_cell_length_c 6.3502
_cell_angle_alpha 97.53
_cell_angle_beta 97.53
_cell_angle_gamma 85.19
loop_
_space_group_symop_operation_xyz
'x,y,z'
loop_
_atom_site_label
_atom_site_fract_x
_atom_site_fract_y
_atom_site_fract_z
_atom_site_occupancy
Ca1 0.0000 0.0000 0.0000 1
La1 0.0818 0.4244 0.2514 1
La2 0.2521 0.2521 0.7416 1
La3 0.4244 0.0818 0.2514 1
La4 0.5756 0.9182 0.7486 1
La5 0.7479 0.7479 0.2584 1
La6 0.9182 0.5756 0.7486 1
Ho1 0.1717 0.8283 0.5000 1
Ho2 0.3374 0.6626 0.0000 1
Ho3 0.5000 0.5000 0.5000 1
Ho4 0.6626 0.3374 0.0000 1
Ho5 0.8283 0.1717 0.5000 1
```

Principal peaks in the range 2θ from 15° to 90°, in order of rising 2θ:
2θ = 29.86°, intensity 100; 2θ = 30.28°, intensity 32; 2θ = 34.73°, intensity 67; 2θ = 49.70°, intensity 16; 2θ = 50.22°, intensity 23; 2θ = 59.18°, intensity 14; 2θ = 59.31°, intensity 19; 2θ = 62.02°, intensity 12

# La7Ce2Nd2
Computed PXRD pattern, copper Kα. Input: a DFT-relaxed cell (PBE, Alexandria).

Crystal structure
```
data_La7Ce2Nd2
_space_group_name_H-M_alt 'P 1'
_space_group_IT_number 1
_cell_length_a 6.8820
_cell_length_b 6.8820
_cell_length_c 8.6060
_cell_angle_alpha 100.92
_cell_angle_beta 100.92
_cell_angle_gamma 82.19
loop_
_space_group_symop_operation_xyz
'x,y,z'
loop_
_atom_site_label
_atom_site_fract_x
_atom_site_fract_y
_atom_site_fract_z
_atom_site_occupancy
La1 0.0000 0.0000 0.0000 1
La2 0.0867 0.4964 0.8169 1
La3 0.4188 0.4188 0.1618 1
La4 0.4964 0.0867 0.8169 1
La5 0.5036 0.9133 0.1831 1
La6 0.5812 0.5812 0.8382 1
La7 0.9133 0.5036 0.1831 1
Ce1 0.1512 0.8488 0.5000 1
Ce2 0.8488 0.1512 0.5000 1
Nd1 0.3036 0.3036 0.4777 1
Nd2 0.6964 0.6964 0.5223 1
```

Principal peaks in the range 2θ from 15° to 90°, in order of rising 2θ:
+++

Whether about dragons or magic swords or assassins who wield shadow magic, emotions play a pivotal role in the fantasy realm. Our characters ooze angst and snort rage-kindled fires, they love deeply and oftentimes tragically. And that’s why I write fantasy.

Jon Sprunk is the author of Shadow’s Son and Shadow’s Lure from Pyr Books. He lives passionately in central Pennsylvania with his family.